## Material
~~~
## NpMo2H (PBE)

Data for an optimized crystal structure of NpMo2H.

Cell lengths 7.838, 7.838, 7.838 Å; angles 21.47, 21.47, 21.47 degrees
Positions (direct):
Np: 0.000 0.000 0.000
Mo: 0.118 0.118 0.118
Mo: 0.882 0.882 0.882
H: 0.500 0.500 0.500

Output
- calculated total energy (eV per formula unit) = -35.94

## Np5Mo3H12 (PBE)

Data for an optimized crystal structure of Np5Mo3H12.

Cell lengths 10.340, 10.340, 10.340 Å; angles 109.47, 109.47, 109.47 degrees
Positions (direct):
Np: 0.000 0.000 0.000
Np: 0.000 0.000 0.500
Np: 0.000 0.500 0.000
Np: 0.000 0.500 0.500
Np: 0.125 0.750 0.875
Np: 0.125 0.875 0.250
Np: 0.250 0.125 0.875
Np: 0.250 0.625 0.375
Np: 0.375 0.250 0.625
Np: 0.375 0.625 0.750
Np: 0.500 0.000 0.000
Np: 0.500 0.000 0.500
Np: 0.500 0.500 0.000
Np: 0.500 0.500 0.500
Np: 0.625 0.375 0.250
Np: 0.625 0.750 0.375
Np: 0.750 0.375 0.625
Np: 0.750 0.875 0.125
Np: 0.875 0.125 0.750
Np: 0.875 0.250 0.125
Mo: 0.125 0.250 0.375
Mo: 0.125 0.375 0.750
Mo: 0.250 0.375 0.125
Mo: 0.250 0.875 0.625
Mo: 0.375 0.125 0.250
Mo: 0.375 0.750 0.125
Mo: 0.625 0.250 0.875
Mo: 0.625 0.875 0.750
Mo: 0.750 0.125 0.375
Mo: 0.750 0.625 0.875
Mo: 0.875 0.625 0.250
Mo: 0.875 0.750 0.625
H: 0.070 0.742 0.646
H: 0.070 0.828 0.423
H: 0.077 0.672 0.430
H: 0.077 0.905 0.646
H: 0.095 0.242 0.172
H: 0.095 0.354 0.923
H: 0.146 0.242 0.570
H: 0.146 0.405 0.577
H: 0.172 0.095 0.242
H: 0.172 0.577 0.930
H: 0.242 0.172 0.095
H: 0.242 0.570 0.146
H: 0.258 0.354 0.930
H: 0.258 0.405 0.328
H: 0.328 0.258 0.405
H: 0.328 0.570 0.923
H: 0.354 0.923 0.095
H: 0.354 0.930 0.258
H: 0.405 0.328 0.258
H: 0.405 0.577 0.146
H: 0.423 0.070 0.828
H: 0.423 0.854 0.595
H: 0.430 0.077 0.672
H: 0.430 0.854 0.758
H: 0.570 0.146 0.242
H: 0.570 0.923 0.328
H: 0.577 0.146 0.405
H: 0.577 0.930 0.172
H: 0.595 0.423 0.854
H: 0.595 0.672 0.742
H: 0.646 0.070 0.742
H: 0.646 0.077 0.905
H: 0.672 0.430 0.077
H: 0.672 0.742 0.595
H: 0.742 0.595 0.672
H: 0.742 0.646 0.070
H: 0.758 0.430 0.854
H: 0.758 0.828 0.905
H: 0.828 0.423 0.070
H: 0.828 0.905 0.758
H: 0.854 0.595 0.423
H: 0.854 0.758 0.430
H: 0.905 0.646 0.077
H: 0.905 0.758 0.828
H: 0.923 0.095 0.354
H: 0.923 0.328 0.570
H: 0.930 0.172 0.577
H: 0.930 0.258 0.354

Output
- calculated total energy (eV per formula unit) = -133.40

## NpMoH (PBE)

Data for an optimized crystal structure of NpMoH.

Cell lengths 9.258, 3.348, 5.011 Å; angles 90.00, 90.00, 90.00 degrees
Positions (direct):
Np: 0.001 0.250 0.177
Np: 0.499 0.750 0.677
Np: 0.501 0.250 0.323
Np: 0.999 0.750 0.823
Mo: 0.250 0.250 0.753
Mo: 0.250 0.750 0.253
Mo: 0.750 0.250 0.747
Mo: 0.750 0.750 0.247
H: 0.065 0.750 0.416
H: 0.435 0.250 0.916
H: 0.565 0.750 0.084
H: 0.935 0.250 0.584

Output
- calculated total energy (eV per formula unit) = -26.68

----------

[1]
La6Co2RhCl3: relaxed, PBE-GGA.

Size of the total moment, Bohr magnetons per cell: 0.00
E_form (uncorrected), eV/atom: -1.0542
Uncorrected energy, eV per atom: -5.776

Unit cell a=19.3325 b=4.0628 c=8.9929 alpha=90.00 beta=110.83 gamma=90.00
Space group C2/m (No. 12)
Asymmetric unit:
La: 0.0134 0.0000 0.2309 x4
La: 0.1596 0.5000 0.1170 x4
La: 0.1783 0.5000 0.5550 x4
Co: 0.1676 0.0000 0.3347 x4
Rh: 0.0000 0.5000 0.0000 x2
Cl: 0.0000 0.5000 0.5000 x2
Cl: 0.1667 0.0000 0.8326 x4



[2]
BiP2SO: relaxed, PBE-GGA.

Size of the total moment, Bohr magnetons per cell: 0.00
E_form (uncorrected), eV/atom: 0.3493
Uncorrected energy, eV per atom: -4.408
Energy above the most stable polymorph in this dataset, meV per atom: 0

Unit cell a=4.8089 b=4.8089 c=3.6626 alpha=90.00 beta=90.00 gamma=90.00
Space group P4/mmm (No. 123)
Asymmetric unit:
Bi: 0.0000 0.0000 0.0000 x1
P: 0.0000 0.5000 0.5000 x2
S: 0.5000 0.5000 0.5000 x1
O: 0.5000 0.5000 0.0000 x1



[3]
TeSN2F: relaxed, PBE-GGA.

Size of the total moment, Bohr magnetons per cell: 2.28
E_form (uncorrected), eV/atom: 1.4914
Uncorrected energy, eV per atom: -3.667
Energy above the most stable polymorph in this dataset, meV per atom: 388
~~~

## Request
Next, repeat all of the lines further up character by character.

## Result
## NpMo2H (PBE)

Data for an optimized crystal structure of NpMo2H.

Cell lengths 7.838, 7.838, 7.838 Å; angles 21.47, 21.47, 21.47 degrees
Positions (direct):
Np: 0.000 0.000 0.000
Mo: 0.118 0.118 0.118
Mo: 0.882 0.882 0.882
H: 0.500 0.500 0.500

Output
- calculated total energy (eV per formula unit) = -35.94

## Np5Mo3H12 (PBE)

Data for an optimized crystal structure of Np5Mo3H12.

Cell lengths 10.340, 10.340, 10.340 Å; angles 109.47, 109.47, 109.47 degrees
Positions (direct):
Np: 0.000 0.000 0.000
Np: 0.000 0.000 0.500
Np: 0.000 0.500 0.000
Np: 0.000 0.500 0.500
Np: 0.125 0.750 0.875
Np: 0.125 0.875 0.250
Np: 0.250 0.125 0.875
Np: 0.250 0.625 0.375
Np: 0.375 0.250 0.625
Np: 0.375 0.625 0.750
Np: 0.500 0.000 0.000
Np: 0.500 0.000 0.500
Np: 0.500 0.500 0.000
Np: 0.500 0.500 0.500
Np: 0.625 0.375 0.250
Np: 0.625 0.750 0.375
Np: 0.750 0.375 0.625
Np: 0.750 0.875 0.125
Np: 0.875 0.125 0.750
Np: 0.875 0.250 0.125
Mo: 0.125 0.250 0.375
Mo: 0.125 0.375 0.750
Mo: 0.250 0.375 0.125
Mo: 0.250 0.875 0.625
Mo: 0.375 0.125 0.250
Mo: 0.375 0.750 0.125
Mo: 0.625 0.250 0.875
Mo: 0.625 0.875 0.750
Mo: 0.750 0.125 0.375
Mo: 0.750 0.625 0.875
Mo: 0.875 0.625 0.250
Mo: 0.875 0.750 0.625
H: 0.070 0.742 0.646
H: 0.070 0.828 0.423
H: 0.077 0.672 0.430
H: 0.077 0.905 0.646
H: 0.095 0.242 0.172
H: 0.095 0.354 0.923
H: 0.146 0.242 0.570
H: 0.146 0.405 0.577
H: 0.172 0.095 0.242
H: 0.172 0.577 0.930
H: 0.242 0.172 0.095
H: 0.242 0.570 0.146
H: 0.258 0.354 0.930
H: 0.258 0.405 0.328
H: 0.328 0.258 0.405
H: 0.328 0.570 0.923
H: 0.354 0.923 0.095
H: 0.354 0.930 0.258
H: 0.405 0.328 0.258
H: 0.405 0.577 0.146
H: 0.423 0.070 0.828
H: 0.423 0.854 0.595
H: 0.430 0.077 0.672
H: 0.430 0.854 0.758
H: 0.570 0.146 0.242
H: 0.570 0.923 0.328
H: 0.577 0.146 0.405
H: 0.577 0.930 0.172
H: 0.595 0.423 0.854
H: 0.595 0.672 0.742
H: 0.646 0.070 0.742
H: 0.646 0.077 0.905
H: 0.672 0.430 0.077
H: 0.672 0.742 0.595
H: 0.742 0.595 0.672
H: 0.742 0.646 0.070
H: 0.758 0.430 0.854
H: 0.758 0.828 0.905
H: 0.828 0.423 0.070
H: 0.828 0.905 0.758
H: 0.854 0.595 0.423
H: 0.854 0.758 0.430
H: 0.905 0.646 0.077
H: 0.905 0.758 0.828
H: 0.923 0.095 0.354
H: 0.923 0.328 0.570
H: 0.930 0.172 0.577
H: 0.930 0.258 0.354

Output
- calculated total energy (eV per formula unit) = -133.40

## NpMoH (PBE)

Data for an optimized crystal structure of NpMoH.

Cell lengths 9.258, 3.348, 5.011 Å; angles 90.00, 90.00, 90.00 degrees
Positions (direct):
Np: 0.001 0.250 0.177
Np: 0.499 0.750 0.677
Np: 0.501 0.250 0.323
Np: 0.999 0.750 0.823
Mo: 0.250 0.250 0.753
Mo: 0.250 0.750 0.253
Mo: 0.750 0.250 0.747
Mo: 0.750 0.750 0.247
H: 0.065 0.750 0.416
H: 0.435 0.250 0.916
H: 0.565 0.750 0.084
H: 0.935 0.250 0.584

Output
- calculated total energy (eV per formula unit) = -26.68

----------

[1]
La6Co2RhCl3: relaxed, PBE-GGA.

Size of the total moment, Bohr magnetons per cell: 0.00
E_form (uncorrected), eV/atom: -1.0542
Uncorrected energy, eV per atom: -5.776

Unit cell a=19.3325 b=4.0628 c=8.9929 alpha=90.00 beta=110.83 gamma=90.00
Space group C2/m (No. 12)
Asymmetric unit:
La: 0.0134 0.0000 0.2309 x4
La: 0.1596 0.5000 0.1170 x4
La: 0.1783 0.5000 0.5550 x4
Co: 0.1676 0.0000 0.3347 x4
Rh: 0.0000 0.5000 0.0000 x2
Cl: 0.0000 0.5000 0.5000 x2
Cl: 0.1667 0.0000 0.8326 x4



[2]
BiP2SO: relaxed, PBE-GGA.

Size of the total moment, Bohr magnetons per cell: 0.00
E_form (uncorrected), eV/atom: 0.3493
Uncorrected energy, eV per atom: -4.408
Energy above the most stable polymorph in this dataset, meV per atom: 0

Unit cell a=4.8089 b=4.8089 c=3.6626 alpha=90.00 beta=90.00 gamma=90.00
Space group P4/mmm (No. 123)
Asymmetric unit:
Bi: 0.0000 0.0000 0.0000 x1
P: 0.0000 0.5000 0.5000 x2
S: 0.5000 0.5000 0.5000 x1
O: 0.5000 0.5000 0.0000 x1



[3]
TeSN2F: relaxed, PBE-GGA.

Size of the total moment, Bohr magnetons per cell: 2.28
E_form (uncorrected), eV/atom: 1.4914
Uncorrected energy, eV per atom: -3.667
Energy above the most stable polymorph in this dataset, meV per atom: 388